Where does the missing comma go?

When he got home from the park, Jack decided to take a nap in his favorite place his hammock.

Before his hammock.

When he got home from the park, Jack decided to take a nap in his favorite place, his hammock.


Where does the comma go?

I went to school so I could learn.

The comma is needed after school.

Tip: It is a compound sentence because it has a complete sentence to the left and to the right of the FANBOY "so." 


What resource can help you with spelling questions?

The resource that will help me is the dictionary. 

Tip: You should always look in the dictionary when you change one word for another word on the STAAR test.


What needs to be capitalized in this sentence?

When will dad return from the gym?

Capitalize the word dad.

Rule: Capitalize relationship words if you can substitute with someone's name.

When will Dad return from the gym? 

When will John return from the gym? 


What does the R in R.A.C.E. stand for?

Restate the question.


Where does the missing comma go?

My teacher, Ms. Finley has an adorable baby girl.

After after Finley because Ms. Finley is interrupting the sentence

My teacher, Ms. Finley, has an adorable baby girl.


The acronym "FANBOYS" stands for these words.

FANBOYS stands for the following words: 

for, and, nor, but, or, yet, and so 


What change should be made in the following sentence?

To many people go to this school.

You should change to to too.

Tip: To, too, and two are homophones. They sound the same but are spelled differently. If you are unsure which to choose, look in the dictionary.


Correct the following sentence:

Rosalin yelled, "I won the lottery!

Add quotation marks (") after !

Whatever words are spoken must have quotation marks at the front and back of the words spoken. 


What does the A in  R.A.C.E. stand for?

Answer the question.


Where does the comma go?

I can't believe that I read one of the longest books ever written War and Peace.

Before War and Peace

I can't believe that I read one of the longest books ever written, War and Peace.


Does there need to be a comma in this sentence? Yes or No

Spiderman is my favorite superhero because he is clever.

No, there is no need for a comma when the AAAWWUBBIS (because) is in the middle of a sentence. 


Where does the missing comma go?

Selina skipped detention; therefore, she got into trouble but she learned her lesson.

This is a run-on. BUT to complete this compound-complex statement.

Selina skipped detention; therefore, she got into trouble, but she learned her lesson.


Correct the following sentence:

There going to park there car over there.

The first "There" should be "They're".

The second "there" should be "their".

The last there is correct.

They're going to park their car over there. 


What does the C in  R.A.C.E. stand for?

Cite the evidence.


Where do the 2 apostrophes belong in this sentence? 

Ive heard that Disney Worlds prices went up.

Add apostrophes to make the words I've and World's. 

I've heard that Disney World's prices went up.


Does there need to be a comma in this sentence? Yes or No

**Next to the page, the page also holds materials data**
-- begin --
The following is a DFT calculation (PBE) of an optimized crystal structure of Mn2TlCd.

As for the spin magnetization: 14.35 μB/cell. The calculation puts the volume at 151.0 Å³/cell. The formation energy comes out at 0.4268 eV/atom. Its crystal system is monoclinic.

It has space group Cm (No. 8), with a = 10.9872 Å, b = 3.1792 Å, c = 4.7529 Å, α = 90.00°, β = 114.56° and γ = 90.00°. The distinct sites, in fractional coordinates, are Mn at (0.0000, 0.0000, 0.0000), Mn at (0.2225, 0.5000, 0.2622), Tl at (0.4818, 0.0000, 0.4838) and Cd at (0.2503, 0.0000, 0.7899).

=====

The following is a DFT calculation (PBE) of an optimized crystal structure of HfCd2Pd.

As for the spin magnetization: 0.00 μB/cell. The calculation puts the volume at 77.5 Å³/cell. The formation energy comes out at -0.1582 eV/atom. Its crystal system is tetragonal.

It has space group P4/mmm (No. 123), with a = 3.2872 Å, b = 3.2872 Å, c = 7.1688 Å, α = 90.00°, β = 90.00° and γ = 90.00°. The distinct sites, in fractional coordinates, are Hf at (0.0000, 0.0000, 0.0000), Cd at (0.5000, 0.5000, 0.2773) and Pd at (0.0000, 0.0000, 0.5000).

=====

The following is a DFT calculation (PBE) of an optimized crystal structure of AcLaSeN.

As for the spin magnetization: 0.00 μB/cell. The value obtained for the energy relative to the elements, uncorrected is -1.56 eV per atom. The calculation puts the volume at 293.4 Å³/cell. Its crystal system is trigonal.

It has space group R3m (No. 160, hexagonal axes), with a = 3.9947 Å, b = 3.9947 Å, c = 21.2284 Å, α = 90.00°, β = 90.00° and γ = 120.00°. The distinct sites, in fractional coordinates, are Ac at (0.0000, 0.0000, 0.0000), La at (0.0000, 0.0000, 0.5304), Se at (0.0000, 0.0000, 0.7686) and N at (0.0000, 0.0000, 0.2614).

=====

The following is a DFT calculation (PBE) of an optimized crystal structure of TbFeGeH.

As for the spin magnetization: 2.88 μB/cell. The calculation puts the volume at 114.8 Å³/cell. Its crystal system is tetragonal. Its total energy is -5.8557 eV per atom.

It has space group P4/nmm (No. 129, origin choice 2), with a = 3.8766 Å, b = 3.8766 Å, c = 7.6366 Å, α = 90.00°, β = 90.00° and γ = 90.00°. The distinct sites, in fractional coordinates, are Tb at (0.2500, 0.2500, 0.1590), Fe at (0.2500, 0.7500, 0.5000), Ge at (0.2500, 0.2500, 0.6855) and H at (0.2500, 0.7500, 0.0000).

=====

The following is a DFT calculation (PBE) of an optimized crystal structure of Pm6GaC2.

As for the spin magnetization: 0.00 μB/cell. The calculation puts the volume at 493.6 Å³/cell. The formation energy comes out at -0.0893 eV/atom. Its crystal system is monoclinic.

It has space group C2/m (No. 12), with a = 13.3451 Å, b = 5.1903 Å, c = 8.8952 Å, α = 90.00°, β = 126.77° and γ = 90.00°. The distinct sites, in fractional coordinates, are Pm at (0.0317, 0.0000, 0.1993), Pm at (0.1534, 0.5000, 0.5851), Pm at (0.1965, 0.5000, 0.0635), Ga at (0.0000, 0.0000, 0.5000) and C at (0.1813, 0.0000, 0.0798).

=====
-- stop --

While you were gone I cleaned your room and the kitchen as well.

Yes, a comma belongs after the word gone.

Tip: This is a complex sentence starting with an AAAWWUBBIS word. A comma always goes after the dependent clause where it pauses and an independent clause begins.


Fix the following statement (2 mistakes):

The thief had stole the radio and had broke the piggy bank. 

This statement has incorrect verb tense.

The thief had STOLEN the radio and had BROKEN the piggy bank.


What correction should be made to the following sentence?

The bowl of grapes were placed on the table. 

Change were to was

Rule: The subject and verb must agree. Bowl is the subject (not grapes), so it needs the singular subject was

The bowl of grapes was placed on the table. 


What does the E. in R.A.C.E. stand for?

Explain your answer.



Where does the apostrophe belong in this sentence?

The lions manes were magnificent! 

The apostrophe goes after the "s" in lions. 

Example: lions' manes


Fix the following sentence by placing 3 commas in the correct place:

During the hurricane I traveled to my sister's town Smithville Texas. 

Commas are needed after hurricane, town, and Smithville

Tip: During the hurricane is an introductory phrase. A comma is needed before the ending appositive (interrupter). A comma is also needed to separate a city from its state. 


Where does the semicolon (;) and comma (,) go in this sentence?

Mom wants the chores complete however she said I could do them tomorrow.

Add a semicolon after complete and a comma after however because it is a conjunctive adverb.

Mom wants the chores complete; however, she said I could do them tomorrow.


Correct the following sentence:

Glue sticks, pens, markers, and paper was at the top of the supply list.

Subject-verb agreement.

It should be: 

Glue sticks, pens, markers, and paper WERE at the top of the supply list.


If the prompt asks you to write a correspondence, what are you writing?

A letter